Listing
+++
1.
# MnPd3Au6 | Alexandria | GGA-PBE | relaxed
# Energy above the lowest structure with this stoichiometry, eV per atom: 0.079
# Magnetic moment, μB/f.u.: 4.650
# Final energy, eV per cell: -89.25
# Mass density, g cm⁻³: 14.7
# Space-group type: R-3
data_MnPd3Au6
_cell_length_a 7.066
_cell_length_b 7.066
_cell_length_c 7.066
_cell_angle_alpha 90.73
_cell_angle_beta 90.73
_cell_angle_gamma 90.73
_space_group_name_H-M_alt 'P 1'
_space_group_IT_number 1
loop_
_space_group_symop_operation_xyz
'x,y,z'
loop_
_atom_site_label
_atom_site_type_symbol
_atom_site_fract_x
_atom_site_fract_y
_atom_site_fract_z
_atom_site_occupancy
Mn1 Mn 0.000 0.000 0.000 1
Mn2 Mn 0.500 0.500 0.500 1
Pd1 Pd 0.252 0.878 0.752 1
Pd2 Pd 0.878 0.752 0.252 1
Pd3 Pd 0.248 0.748 0.122 1
Pd4 Pd 0.752 0.252 0.878 1
Pd5 Pd 0.122 0.248 0.748 1
Pd6 Pd 0.748 0.122 0.248 1
Au1 Au 0.381 0.151 0.057 1
Au2 Au 0.849 0.943 0.619 1
Au3 Au 0.513 0.844 0.384 1
Au4 Au 0.943 0.619 0.849 1
Au5 Au 0.384 0.513 0.844 1
Au6 Au 0.156 0.616 0.487 1
Au7 Au 0.844 0.384 0.513 1
Au8 Au 0.616 0.487 0.156 1
Au9 Au 0.057 0.381 0.151 1
Au10 Au 0.487 0.156 0.616 1
Au11 Au 0.151 0.057 0.381 1
Au12 Au 0.619 0.849 0.943 1

2.
# Mn2Pd2Au5 | Alexandria | GGA-PBE | relaxed
# Energy above the lowest structure with this stoichiometry, eV per atom: 0.000
# Magnetic moment, μB/f.u.: 8.867
# Final energy, eV per cell: -92.57
# Mass density, g cm⁻³: 14.4
# Space-group type: Cc
data_Mn2Pd2Au5
_cell_length_a 8.554
_cell_length_b 5.643
_cell_length_c 7.712
_cell_angle_alpha 101.27
_cell_angle_beta 123.68
_cell_angle_gamma 90.00
_space_group_name_H-M_alt 'P 1'
_space_group_IT_number 1
loop_
_space_group_symop_operation_xyz
'x,y,z'
loop_
_atom_site_label
_atom_site_type_symbol
_atom_site_fract_x
_atom_site_fract_y
_atom_site_fract_z
_atom_site_occupancy
Mn1 Mn 0.033 0.801 0.898 1
Mn2 Mn 0.365 0.301 0.898 1
Mn3 Mn 0.682 0.994 0.545 1
Mn4 Mn 0.363 0.494 0.545 1
Pd1 Pd 0.700 0.497 0.558 1
Pd2 Pd 0.029 0.648 0.222 1
Pd3 Pd 0.358 0.997 0.558 1
Pd4 Pd 0.693 0.148 0.222 1
Au1 Au 0.695 0.646 0.225 1
Au2 Au 0.366 0.801 0.886 1
Au3 Au 0.031 0.146 0.225 1
Au4 Au 0.020 0.301 0.886 1
Au5 Au 0.697 0.831 0.876 1
Au6 Au 0.366 0.150 0.226 1
Au7 Au 0.679 0.331 0.876 1
Au8 Au 0.360 0.650 0.226 1
Au9 Au 0.025 0.967 0.564 1
Au10 Au 0.039 0.467 0.564 1

3.
# MnPd6Au2 | Alexandria | GGA-PBE | relaxed
# Energy above the lowest structure with this stoichiometry, eV per atom: 0.000
# Magnetic moment, μB/f.u.: 5.092
# Final energy, eV per cell: -48.13
# Mass density, g cm⁻³: 12.7
# Space-group type: C2/m
data_MnPd6Au2
_cell_length_a 3.986
_cell_length_b 4.877
_cell_length_c 8.481
_cell_angle_alpha 72.79
_cell_angle_beta 76.41
_cell_angle_gamma 65.88
_space_group_name_H-M_alt 'P 1'
_space_group_IT_number 1
loop_
_space_group_symop_operation_xyz
'x,y,z'
loop_
_atom_site_label
_atom_site_type_symbol
_atom_site_fract_x
_atom_site_fract_y
_atom_site_fract_z
_atom_site_occupancy
Mn1 Mn 0.000 0.500 0.500 1
Pd1 Pd 0.665 0.725 0.945 1
Pd2 Pd 0.335 0.275 0.055 1
Pd3 Pd 0.999 0.833 0.169 1
Pd4 Pd 0.334 0.941 0.391 1
Pd5 Pd 0.001 0.167 0.831 1
Pd6 Pd 0.666 0.059 0.609 1
Au1 Au 0.334 0.611 0.721 1
Au2 Au 0.666 0.389 0.279 1

4.
# Mn2Pd6Au | Alexandria | GGA-PBE | relaxed
# Energy above the lowest structure with this stoichiometry, eV per atom: 0.146
# Magnetic moment, μB/f.u.: 9.627
# Final energy, eV per cell: -53.18
# Mass density, g cm⁻³: 10.7
# Space-group type: C2/m
data_Mn2Pd6Au
_cell_length_a 2.821
_cell_length_b 7.458
_cell_length_c 8.027
_cell_angle_alpha 117.68
_cell_angle_beta 100.25
_cell_angle_gamma 90.00
_space_group_name_H-M_alt 'P 1'
_space_group_IT_number 1
loop_
_space_group_symop_operation_xyz
'x,y,z'
loop_
_atom_site_label
_atom_site_type_symbol
_atom_site_fract_x
_atom_site_fract_y
_atom_site_fract_z
_atom_site_occupancy
Mn1 Mn 0.668 0.669 0.338 1
Mn2 Mn 0.332 0.331 0.662 1
Pd1 Pd 0.168 0.366 0.336 1
Pd2 Pd 0.832 0.030 0.664 1
Pd3 Pd 0.832 0.634 0.664 1
Pd4 Pd 0.500 0.320 0.000 1
Pd5 Pd 0.168 0.970 0.336 1
+++

Job
It remains to write out the part of the lines further up that starts with the line with "_cell_angle_beta 90.73" and stops after the one with "cm⁻³: 10.7".

Result
_cell_angle_beta 90.73
_cell_angle_gamma 90.73
_space_group_name_H-M_alt 'P 1'
_space_group_IT_number 1
loop_
_space_group_symop_operation_xyz
'x,y,z'
loop_
_atom_site_label
_atom_site_type_symbol
_atom_site_fract_x
_atom_site_fract_y
_atom_site_fract_z
_atom_site_occupancy
Mn1 Mn 0.000 0.000 0.000 1
Mn2 Mn 0.500 0.500 0.500 1
Pd1 Pd 0.252 0.878 0.752 1
Pd2 Pd 0.878 0.752 0.252 1
Pd3 Pd 0.248 0.748 0.122 1
Pd4 Pd 0.752 0.252 0.878 1
Pd5 Pd 0.122 0.248 0.748 1
Pd6 Pd 0.748 0.122 0.248 1
Au1 Au 0.381 0.151 0.057 1
Au2 Au 0.849 0.943 0.619 1
Au3 Au 0.513 0.844 0.384 1
Au4 Au 0.943 0.619 0.849 1
Au5 Au 0.384 0.513 0.844 1
Au6 Au 0.156 0.616 0.487 1
Au7 Au 0.844 0.384 0.513 1
Au8 Au 0.616 0.487 0.156 1
Au9 Au 0.057 0.381 0.151 1
Au10 Au 0.487 0.156 0.616 1
Au11 Au 0.151 0.057 0.381 1
Au12 Au 0.619 0.849 0.943 1

2.
# Mn2Pd2Au5 | Alexandria | GGA-PBE | relaxed
# Energy above the lowest structure with this stoichiometry, eV per atom: 0.000
# Magnetic moment, μB/f.u.: 8.867
# Final energy, eV per cell: -92.57
# Mass density, g cm⁻³: 14.4
# Space-group type: Cc
data_Mn2Pd2Au5
_cell_length_a 8.554
_cell_length_b 5.643
_cell_length_c 7.712
_cell_angle_alpha 101.27
_cell_angle_beta 123.68
_cell_angle_gamma 90.00
_space_group_name_H-M_alt 'P 1'
_space_group_IT_number 1
loop_
_space_group_symop_operation_xyz
'x,y,z'
loop_
_atom_site_label
_atom_site_type_symbol
_atom_site_fract_x
_atom_site_fract_y
_atom_site_fract_z
_atom_site_occupancy
Mn1 Mn 0.033 0.801 0.898 1
Mn2 Mn 0.365 0.301 0.898 1
Mn3 Mn 0.682 0.994 0.545 1
Mn4 Mn 0.363 0.494 0.545 1
Pd1 Pd 0.700 0.497 0.558 1
Pd2 Pd 0.029 0.648 0.222 1
Pd3 Pd 0.358 0.997 0.558 1
Pd4 Pd 0.693 0.148 0.222 1
Au1 Au 0.695 0.646 0.225 1
Au2 Au 0.366 0.801 0.886 1
Au3 Au 0.031 0.146 0.225 1
Au4 Au 0.020 0.301 0.886 1
Au5 Au 0.697 0.831 0.876 1
Au6 Au 0.366 0.150 0.226 1
Au7 Au 0.679 0.331 0.876 1
Au8 Au 0.360 0.650 0.226 1
Au9 Au 0.025 0.967 0.564 1
Au10 Au 0.039 0.467 0.564 1

3.
# MnPd6Au2 | Alexandria | GGA-PBE | relaxed
# Energy above the lowest structure with this stoichiometry, eV per atom: 0.000
# Magnetic moment, μB/f.u.: 5.092
# Final energy, eV per cell: -48.13
# Mass density, g cm⁻³: 12.7
# Space-group type: C2/m
data_MnPd6Au2
_cell_length_a 3.986
_cell_length_b 4.877
_cell_length_c 8.481
_cell_angle_alpha 72.79
_cell_angle_beta 76.41
_cell_angle_gamma 65.88
_space_group_name_H-M_alt 'P 1'
_space_group_IT_number 1
loop_
_space_group_symop_operation_xyz
'x,y,z'
loop_
_atom_site_label
_atom_site_type_symbol
_atom_site_fract_x
_atom_site_fract_y
_atom_site_fract_z
_atom_site_occupancy
Mn1 Mn 0.000 0.500 0.500 1
Pd1 Pd 0.665 0.725 0.945 1
Pd2 Pd 0.335 0.275 0.055 1
Pd3 Pd 0.999 0.833 0.169 1
Pd4 Pd 0.334 0.941 0.391 1
Pd5 Pd 0.001 0.167 0.831 1
Pd6 Pd 0.666 0.059 0.609 1
Au1 Au 0.334 0.611 0.721 1
Au2 Au 0.666 0.389 0.279 1

4.
# Mn2Pd6Au | Alexandria | GGA-PBE | relaxed
# Energy above the lowest structure with this stoichiometry, eV per atom: 0.146
# Magnetic moment, μB/f.u.: 9.627
# Final energy, eV per cell: -53.18
# Mass density, g cm⁻³: 10.7